**What to do**
Repeat the whole of the calculation results further down without additions, please.
**Material**
____________
# Li2Fe3CoO8 GGA+U relaxed
# relative energy among the computed polymorphs: 133 meV/atom
data_Li2Fe3CoO8
_cell_length_a 5.8025
_cell_length_b 5.8025
_cell_length_c 14.3457
_cell_angle_alpha 90.00
_cell_angle_beta 90.00
_cell_angle_gamma 120.00
_space_group_name_H-M_alt 'R 3 m'
_space_group_IT_number 160
_space_group_name_Hall 'R 3 -2"'
loop_
_atom_site_label
_atom_site_type_symbol
_atom_site_fract_x
_atom_site_fract_y
_atom_site_fract_z
_atom_site_occupancy
Li1 Li 0.0000 0.0000 0.0000 1
Li2 Li 0.0000 0.0000 0.3820 1
Fe1 Fe 0.1689 0.3377 0.8315 1
Co1 Co 0.0000 0.0000 0.6181 1
O1 O 0.0000 0.0000 0.2378 1
O2 O 0.0000 0.0000 0.7579 1
O3 O 0.0277 0.5139 0.7622 1
O4 O 0.1803 0.3605 0.5711 1

* * * * *

# 1
## TaSiC2 (PBE)

Data for a relaxed TaSiC2 crystal.

M_tot ... 0.000 μB/atom
Calculated total energy ... -139.8 eV/cell

Cell: 4.761 4.761 8.687 Å, 90.00 90.00 90.00°
Space group I-42d (No. 122)
One atom of each set of equivalent atoms:
Ta1 0.000 0.000 0.000 x4
Si1 0.000 0.000 0.500 x4
C1 0.214 0.250 0.625 x8

=====

# 2
## CsPuAu2 (PBE)

Data for a relaxed CsPuAu2 crystal.

Excess energy over the best structure of this formula in the dataset ... 11.3 kJ/mol of atoms
Calculated formation energy ... -0.17 eV per atom
M_tot ... 1.482 μB/atom
Calculated total energy ... -67.3 eV/cell

Cell: 4.4045 4.4045 25.3842 Å, 90.00 90.00 120.00°
Space group R-3m (No. 166, hexagonal axes)
One atom of each set of equivalent atoms:
Cs1 0.0000 0.0000 0.0000 x3
Pu1 0.0000 0.0000 0.5000 x3
Au1 0.0000 0.0000 0.2294 x6

=====

# 3
## PrUMoC3 (PBE)

Data for a relaxed PrUMoC3 crystal.

Calculated formation energy ... -0.01 eV per atom
M_tot ... 0.000 μB/atom
Calculated total energy ... -218.4 eV/cell

Cell: 13.586 3.971 7.067 Å, 90.00 104.92 90.00°
Space group C2/m (No. 12)
One atom of each set of equivalent atoms:
Pr1 0.143 0.000 0.074 x4
U1 0.153 0.000 0.572 x4
Mo1 0.006 0.500 0.714 x4
C1 0.010 0.000 0.286 x4
C2 0.159 0.500 0.797 x4
C3 0.175 0.500 0.375 x4

=====

Repeat the second record exactly.
## CsPuAu2 (PBE)

Data for a relaxed CsPuAu2 crystal.

Excess energy over the best structure of this formula in the dataset ... 11.3 kJ/mol of atoms
Calculated formation energy ... -0.17 eV per atom
M_tot ... 1.482 μB/atom
Calculated total energy ... -67.3 eV/cell

Cell: 4.4045 4.4045 25.3842 Å, 90.00 90.00 120.00°
Space group R-3m (No. 166, hexagonal axes)
One atom of each set of equivalent atoms:
Cs1 0.0000 0.0000 0.0000 x3
Pu1 0.0000 0.0000 0.5000 x3
Au1 0.0000 0.0000 0.2294 x6

* * * * *

Entry 1:
## Zr2NbZn (PBE)

Data for an optimized crystal structure of Zr2NbZn.

Calculated values
For the raw total energy, the calculation gives -7.224 eV/atom.

Lattice parameters (Å, degrees): 3.4979 3.4979 6.4281 90.00 90.00 90.00
Space group P4/mmm (No. 123)
Inequivalent atoms, fractional coordinates:
Zr 0.0000 0.0000 0.2487
Nb 0.5000 0.5000 0.0000
Zn 0.5000 0.5000 0.5000

---

Entry 2:
## ZrNb2Zn (PBE)

Data for an optimized crystal structure of ZrNb2Zn.

Calculated values
For the raw total energy, the calculation gives -7.514 eV/atom.

Lattice parameters (Å, degrees): 4.0290 4.0290 4.5425 90.00 90.00 90.00
Space group P4/mmm (No. 123)
Inequivalent atoms, fractional coordinates:
Zr 0.0000 0.0000 0.0000
Nb 0.0000 0.5000 0.5000
Zn 0.5000 0.5000 0.0000

---

Entry 3:
## Zr2NbZn2 (PBE)

Data for an optimized crystal structure of Zr2NbZn2.

Calculated values
For the raw total energy, the calculation gives -5.758 eV/atom. The energy above the most stable polymorph in this dataset comes out at 243 meV per atom.
____________
**Outcome**
# Li2Fe3CoO8 GGA+U relaxed
# relative energy among the computed polymorphs: 133 meV/atom
data_Li2Fe3CoO8
_cell_length_a 5.8025
_cell_length_b 5.8025
_cell_length_c 14.3457
_cell_angle_alpha 90.00
_cell_angle_beta 90.00
_cell_angle_gamma 120.00
_space_group_name_H-M_alt 'R 3 m'
_space_group_IT_number 160
_space_group_name_Hall 'R 3 -2"'
loop_
_atom_site_label
_atom_site_type_symbol
_atom_site_fract_x
_atom_site_fract_y
_atom_site_fract_z
_atom_site_occupancy
Li1 Li 0.0000 0.0000 0.0000 1
Li2 Li 0.0000 0.0000 0.3820 1
Fe1 Fe 0.1689 0.3377 0.8315 1
Co1 Co 0.0000 0.0000 0.6181 1
O1 O 0.0000 0.0000 0.2378 1
O2 O 0.0000 0.0000 0.7579 1
O3 O 0.0277 0.5139 0.7622 1
O4 O 0.1803 0.3605 0.5711 1

* * * * *

# 1
## TaSiC2 (PBE)

Data for a relaxed TaSiC2 crystal.

M_tot ... 0.000 μB/atom
Calculated total energy ... -139.8 eV/cell

Cell: 4.761 4.761 8.687 Å, 90.00 90.00 90.00°
Space group I-42d (No. 122)
One atom of each set of equivalent atoms:
Ta1 0.000 0.000 0.000 x4
Si1 0.000 0.000 0.500 x4
C1 0.214 0.250 0.625 x8

=====

# 2
## CsPuAu2 (PBE)

Data for a relaxed CsPuAu2 crystal.

Excess energy over the best structure of this formula in the dataset ... 11.3 kJ/mol of atoms
Calculated formation energy ... -0.17 eV per atom
M_tot ... 1.482 μB/atom
Calculated total energy ... -67.3 eV/cell

Cell: 4.4045 4.4045 25.3842 Å, 90.00 90.00 120.00°
Space group R-3m (No. 166, hexagonal axes)
One atom of each set of equivalent atoms:
Cs1 0.0000 0.0000 0.0000 x3
Pu1 0.0000 0.0000 0.5000 x3
Au1 0.0000 0.0000 0.2294 x6

=====

# 3
## PrUMoC3 (PBE)

Data for a relaxed PrUMoC3 crystal.

Calculated formation energy ... -0.01 eV per atom
M_tot ... 0.000 μB/atom
Calculated total energy ... -218.4 eV/cell

Cell: 13.586 3.971 7.067 Å, 90.00 104.92 90.00°
Space group C2/m (No. 12)
One atom of each set of equivalent atoms:
Pr1 0.143 0.000 0.074 x4
U1 0.153 0.000 0.572 x4
Mo1 0.006 0.500 0.714 x4
C1 0.010 0.000 0.286 x4
C2 0.159 0.500 0.797 x4
C3 0.175 0.500 0.375 x4

=====

Repeat the second record exactly.
## CsPuAu2 (PBE)

Data for a relaxed CsPuAu2 crystal.

Excess energy over the best structure of this formula in the dataset ... 11.3 kJ/mol of atoms
Calculated formation energy ... -0.17 eV per atom
M_tot ... 1.482 μB/atom
Calculated total energy ... -67.3 eV/cell

Cell: 4.4045 4.4045 25.3842 Å, 90.00 90.00 120.00°
Space group R-3m (No. 166, hexagonal axes)
One atom of each set of equivalent atoms:
Cs1 0.0000 0.0000 0.0000 x3
Pu1 0.0000 0.0000 0.5000 x3
Au1 0.0000 0.0000 0.2294 x6

* * * * *

Entry 1:
## Zr2NbZn (PBE)

Data for an optimized crystal structure of Zr2NbZn.

Calculated values
For the raw total energy, the calculation gives -7.224 eV/atom.

Lattice parameters (Å, degrees): 3.4979 3.4979 6.4281 90.00 90.00 90.00
Space group P4/mmm (No. 123)
Inequivalent atoms, fractional coordinates:
Zr 0.0000 0.0000 0.2487
Nb 0.5000 0.5000 0.0000
Zn 0.5000 0.5000 0.5000

---

Entry 2:
## ZrNb2Zn (PBE)

Data for an optimized crystal structure of ZrNb2Zn.

Calculated values
For the raw total energy, the calculation gives -7.514 eV/atom.

Lattice parameters (Å, degrees): 4.0290 4.0290 4.5425 90.00 90.00 90.00
Space group P4/mmm (No. 123)
Inequivalent atoms, fractional coordinates:
Zr 0.0000 0.0000 0.0000
Nb 0.0000 0.5000 0.5000
Zn 0.5000 0.5000 0.0000

---

Entry 3:
## Zr2NbZn2 (PBE)

Data for an optimized crystal structure of Zr2NbZn2.

Calculated values
For the raw total energy, the calculation gives -5.758 eV/atom. The energy above the most stable polymorph in this dataset comes out at 243 meV per atom.